What is needed: restate the whole of the rows below word for word.

=====
(1)
Entry from the Open Molecules 2025 dataset: 12 unconnected molecules or ions with the total composition C15H54O12 at a distorted geometry (the ωB97M-V functional and the def2-TZVPD basis).

XYZ file:
```
81
Properties=species:S:1:pos:R:3:forces:R:3
C 1.82172 7.08819 -4.19593 0.5 -0.3 -1.4
O 0.50987 7.54565 -4.36603 -0.7 0.5 0.2
H 2.14746 6.62096 -5.12528 -0.1 -0.9 0.0
H 2.55837 7.89139 -4.17805 0.0 0.3 1.2
H 1.81512 6.35809 -3.38660 0.4 0.4 0.0
H 0.49648 8.09367 -5.15413 -0.2 0.0 0.0
C 0.35070 6.20540 2.96055 -0.7 -0.7 -0.5
O 0.36245 6.49108 4.33077 0.4 0.3 0.5
H -0.08840 5.21795 2.81824 -0.1 0.0 0.1
H -0.31782 6.93071 2.49677 0.2 -0.1 -0.7
H 1.34018 6.16196 2.50541 0.1 0.4 -0.1
H 0.48283 7.44348 4.33760 0.1 0.1 0.7
C -1.30308 -5.76836 3.63274 -0.7 0.7 0.2
O -0.75047 -5.21973 2.45816 0.8 -0.1 -0.3
H -1.70314 -6.74926 3.37605 0.0 0.1 0.3
H -0.62808 -5.79120 4.48828 0.4 -0.5 -0.2
H -2.07764 -5.06490 3.93820 -0.6 -0.4 0.3
H -0.27336 -4.43386 2.73451 0.1 0.1 -0.3
C -3.22337 -7.90658 -2.38988 0.4 0.4 0.6
C -3.08614 -6.43982 -1.86198 -0.3 -1.3 1.8
C -3.93256 -6.18276 -0.54481 0.3 -0.2 -2.1
O -1.70525 -6.32544 -1.52015 0.4 0.2 -0.6
H -4.16881 -8.16167 -2.86862 0.1 0.2 -0.1
H -3.04710 -8.62175 -1.58642 -0.3 0.2 0.5
H -2.35933 -8.13195 -3.01495 -0.3 0.3 -0.6
H -3.36858 -5.74625 -2.65399 0.2 0.2 0.0
H -4.97187 -6.09348 -0.86100 -0.2 -0.3 0.4
H -3.68671 -5.23246 -0.07088 0.3 -0.1 0.0
H -3.74682 -7.03501 0.10884 -0.3 0.2 0.2
H -1.56616 -6.03043 -0.61726 -0.3 0.1 0.0
C -0.99838 -0.29889 -0.25448 -0.5 -0.1 0.4
C -0.51493 0.56905 -1.40577 0.9 1.3 -0.6
C 0.69447 1.60509 -1.14296 -2.4 -0.5 1.5
O -0.16037 -0.09170 -2.56710 0.7 -1.9 -1.2
H -0.67829 0.06437 0.72210 0.1 -0.1 0.0
H -0.83734 -1.37341 -0.34141 0.7 0.1 -0.2
H -2.08464 -0.22206 -0.30155 -0.1 0.0 0.4
H -1.45415 0.97048 -1.78636 0.3 1.5 0.5
H 0.18397 2.43114 -0.64787 0.3 0.7 -0.4
H 1.25224 1.89327 -2.03399 -0.4 0.0 0.0
H 1.35569 1.26749 -0.34489 0.2 -0.5 -0.2
H 0.72611 -0.42965 -2.42028 0.3 -0.4 -0.4
C -3.77676 -2.11010 7.07023 0.9 -0.9 1.4
C -4.68703 -1.25703 6.26649 -0.4 -0.4 -2.9
C -4.19979 -1.17014 4.76228 0.4 0.6 1.3
O -5.92612 -2.00080 6.22861 0.0 0.1 0.6
H -2.69571 -2.04602 6.94643 0.0 0.7 -0.5
H -3.96980 -3.16514 6.87603 -0.4 0.0 -0.2
H -3.92292 -1.97698 8.14215 -0.3 0.0 0.1
H -4.85196 -0.24360 6.63236 0.1 -0.1 0.3
H -4.36143 -2.13450 4.28064 -0.2 0.2 -0.1
H -3.13811 -0.92690 4.71978 0.2 -0.2 0.1
H -4.65136 -0.31626 4.25726 -0.5 -0.4 -0.2
H -6.67508 -1.46454 5.95827 0.2 0.3 -0.1
C 8.16730 2.06418 -1.58016 -0.4 0.9 -0.5
C 6.82085 2.52791 -1.05045 0.1 0.1 -1.0
C 5.87637 3.29742 -1.99420 -1.1 -0.1 0.7
O 6.14605 1.38243 -0.51604 -0.4 0.7 0.1
H 8.07145 1.13117 -2.13550 0.2 -0.2 0.5
H 8.79171 2.09288 -0.68719 0.6 -0.8 -0.4
H 8.54728 2.79808 -2.29088 0.2 0.1 0.1
H 7.07043 3.26677 -0.28894 -0.2 -0.1 0.5
H 5.28062 3.90629 -1.31416 -0.1 0.4 -0.1
H 5.09001 2.72074 -2.48124 0.4 -0.6 -0.2
H 6.27920 3.97470 -2.74728 0.6 -0.2 0.2
H 6.69612 1.04335 0.19392 0.0 -0.1 0.1
O -1.59987 -2.59408 -5.57849 -0.2 0.0 -0.2
H -1.28280 -3.46613 -5.34346 0.1 -0.2 0.0
H -1.30496 -2.03063 -4.86310 0.1 0.2 0.2
O -2.36621 5.30928 -2.15150 -0.1 -0.1 0.3
H -1.87656 6.12204 -2.27757 0.2 0.2 -0.1
H -2.67324 5.07573 -3.02752 0.0 -0.1 -0.2
O 3.26298 -1.69121 -2.64628 -0.3 0.1 -0.1
H 3.65013 -1.03746 -2.06410 0.2 0.2 0.1
H 3.67271 -2.51642 -2.38668 0.1 -0.3 0.0
O -0.64300 2.83749 -5.97329 0.1 0.2 -0.1
H -1.58857 2.79590 -6.11614 -0.2 0.0 -0.1
H -0.49133 2.28326 -5.20775 0.1 -0.2 0.2
O 3.26180 0.95734 3.11080 0.0 -0.2 0.0
H 3.49621 1.38192 2.28557 0.1 0.1 -0.3
H 3.13653 1.68028 3.72554 -0.1 0.2 0.2
```
Positions in Å, forces in eV/Å.

As for the LUMO energy: 0.1 eV. The net charge is 0. The HOMO-LUMO gap comes out at 10.03 eV. For the molar mass, the calculation gives 426.585 g mol⁻¹. As for the energy above the lowest of the compared OMol25 structures with the same formula, charge and spin: 4.833 eV. The HOMO energy comes out at -9.92 eV.

---

(2)
=====

(1)
Entry from the Open Molecules 2025 dataset: 12 unconnected molecules or ions with the total composition C15H54O12 at a distorted geometry (the ωB97M-V functional and the def2-TZVPD basis).

XYZ file:
```
81
Properties=species:S:1:pos:R:3:forces:R:3
C 1.82172 7.08819 -4.19593 0.5 -0.3 -1.4
O 0.50987 7.54565 -4.36603 -0.7 0.5 0.2
H 2.14746 6.62096 -5.12528 -0.1 -0.9 0.0
H 2.55837 7.89139 -4.17805 0.0 0.3 1.2
H 1.81512 6.35809 -3.38660 0.4 0.4 0.0
H 0.49648 8.09367 -5.15413 -0.2 0.0 0.0
C 0.35070 6.20540 2.96055 -0.7 -0.7 -0.5
O 0.36245 6.49108 4.33077 0.4 0.3 0.5
H -0.08840 5.21795 2.81824 -0.1 0.0 0.1
H -0.31782 6.93071 2.49677 0.2 -0.1 -0.7
H 1.34018 6.16196 2.50541 0.1 0.4 -0.1
H 0.48283 7.44348 4.33760 0.1 0.1 0.7
C -1.30308 -5.76836 3.63274 -0.7 0.7 0.2
O -0.75047 -5.21973 2.45816 0.8 -0.1 -0.3
H -1.70314 -6.74926 3.37605 0.0 0.1 0.3
H -0.62808 -5.79120 4.48828 0.4 -0.5 -0.2
H -2.07764 -5.06490 3.93820 -0.6 -0.4 0.3
H -0.27336 -4.43386 2.73451 0.1 0.1 -0.3
C -3.22337 -7.90658 -2.38988 0.4 0.4 0.6
C -3.08614 -6.43982 -1.86198 -0.3 -1.3 1.8
C -3.93256 -6.18276 -0.54481 0.3 -0.2 -2.1
O -1.70525 -6.32544 -1.52015 0.4 0.2 -0.6
H -4.16881 -8.16167 -2.86862 0.1 0.2 -0.1
H -3.04710 -8.62175 -1.58642 -0.3 0.2 0.5
H -2.35933 -8.13195 -3.01495 -0.3 0.3 -0.6
H -3.36858 -5.74625 -2.65399 0.2 0.2 0.0
H -4.97187 -6.09348 -0.86100 -0.2 -0.3 0.4
H -3.68671 -5.23246 -0.07088 0.3 -0.1 0.0
H -3.74682 -7.03501 0.10884 -0.3 0.2 0.2
H -1.56616 -6.03043 -0.61726 -0.3 0.1 0.0
C -0.99838 -0.29889 -0.25448 -0.5 -0.1 0.4
C -0.51493 0.56905 -1.40577 0.9 1.3 -0.6
C 0.69447 1.60509 -1.14296 -2.4 -0.5 1.5
O -0.16037 -0.09170 -2.56710 0.7 -1.9 -1.2
H -0.67829 0.06437 0.72210 0.1 -0.1 0.0
H -0.83734 -1.37341 -0.34141 0.7 0.1 -0.2
H -2.08464 -0.22206 -0.30155 -0.1 0.0 0.4
H -1.45415 0.97048 -1.78636 0.3 1.5 0.5
H 0.18397 2.43114 -0.64787 0.3 0.7 -0.4
H 1.25224 1.89327 -2.03399 -0.4 0.0 0.0
H 1.35569 1.26749 -0.34489 0.2 -0.5 -0.2
H 0.72611 -0.42965 -2.42028 0.3 -0.4 -0.4
C -3.77676 -2.11010 7.07023 0.9 -0.9 1.4
C -4.68703 -1.25703 6.26649 -0.4 -0.4 -2.9
C -4.19979 -1.17014 4.76228 0.4 0.6 1.3
O -5.92612 -2.00080 6.22861 0.0 0.1 0.6
H -2.69571 -2.04602 6.94643 0.0 0.7 -0.5
H -3.96980 -3.16514 6.87603 -0.4 0.0 -0.2
H -3.92292 -1.97698 8.14215 -0.3 0.0 0.1
H -4.85196 -0.24360 6.63236 0.1 -0.1 0.3
H -4.36143 -2.13450 4.28064 -0.2 0.2 -0.1
H -3.13811 -0.92690 4.71978 0.2 -0.2 0.1
H -4.65136 -0.31626 4.25726 -0.5 -0.4 -0.2
H -6.67508 -1.46454 5.95827 0.2 0.3 -0.1
C 8.16730 2.06418 -1.58016 -0.4 0.9 -0.5
C 6.82085 2.52791 -1.05045 0.1 0.1 -1.0
C 5.87637 3.29742 -1.99420 -1.1 -0.1 0.7
O 6.14605 1.38243 -0.51604 -0.4 0.7 0.1
H 8.07145 1.13117 -2.13550 0.2 -0.2 0.5
H 8.79171 2.09288 -0.68719 0.6 -0.8 -0.4
H 8.54728 2.79808 -2.29088 0.2 0.1 0.1
H 7.07043 3.26677 -0.28894 -0.2 -0.1 0.5
H 5.28062 3.90629 -1.31416 -0.1 0.4 -0.1
H 5.09001 2.72074 -2.48124 0.4 -0.6 -0.2
H 6.27920 3.97470 -2.74728 0.6 -0.2 0.2
H 6.69612 1.04335 0.19392 0.0 -0.1 0.1
O -1.59987 -2.59408 -5.57849 -0.2 0.0 -0.2
H -1.28280 -3.46613 -5.34346 0.1 -0.2 0.0
H -1.30496 -2.03063 -4.86310 0.1 0.2 0.2
O -2.36621 5.30928 -2.15150 -0.1 -0.1 0.3
H -1.87656 6.12204 -2.27757 0.2 0.2 -0.1
H -2.67324 5.07573 -3.02752 0.0 -0.1 -0.2
O 3.26298 -1.69121 -2.64628 -0.3 0.1 -0.1
H 3.65013 -1.03746 -2.06410 0.2 0.2 0.1
H 3.67271 -2.51642 -2.38668 0.1 -0.3 0.0
O -0.64300 2.83749 -5.97329 0.1 0.2 -0.1
H -1.58857 2.79590 -6.11614 -0.2 0.0 -0.1
H -0.49133 2.28326 -5.20775 0.1 -0.2 0.2
O 3.26180 0.95734 3.11080 0.0 -0.2 0.0
H 3.49621 1.38192 2.28557 0.1 0.1 -0.3
H 3.13653 1.68028 3.72554 -0.1 0.2 0.2
```
Positions in Å, forces in eV/Å.

As for the LUMO energy: 0.1 eV. The net charge is 0. The HOMO-LUMO gap comes out at 10.03 eV. For the molar mass, the calculation gives 426.585 g mol⁻¹. As for the energy above the lowest of the compared OMol25 structures with the same formula, charge and spin: 4.833 eV. The HOMO energy comes out at -9.92 eV.

---

(2)